The reader should say how many lines of the rows further below hold the word "orbital_gap_ha", as a bare number.

-- begin --
[1]
69
Properties=species:S:1:pos:R:3:mulliken_charge:R:1 method="wB97M-V/def2-TZVPD" largest_force_ev_per_a=10.27 mol_weight_g_mol=532.46 charge=-1 lumo_ev=2.0639 energy_ha=-2658.51993 orbital_gap_ha=0.170
C 3.2496 -0.1298 -3.4182 -0.859
C 2.4931 -1.5527 -2.9695 0.106
Cl 2.4282 -2.5664 -4.5638 -0.257
C 1.0119 -1.1182 -2.4180 -0.057
Cl 1.2641 -0.0034 -0.9118 -0.125
C 0.0797 -2.3649 -1.8837 -0.413
F 0.7712 -3.6834 -2.0394 -0.358
P -1.5099 -2.2983 -3.0085 0.196
C -2.2362 -0.5367 -2.6010 -0.875
C -1.0511 -2.3262 -4.8617 -0.917
H 2.4786 0.3979 -4.1539 0.266
H 3.5529 0.5345 -2.5040 0.270
H 4.2102 -0.3460 -4.0837 0.122
H 3.1979 -2.0383 -2.1656 0.313
H 0.5006 -0.4418 -3.2255 0.044
H -3.2718 -0.3449 -3.1114 0.363
H -2.3281 -0.4746 -1.4178 0.039
H -1.5161 0.3311 -2.9251 0.316
H -0.7263 -1.2309 -5.1677 0.225
H -0.2823 -3.1504 -5.1764 0.164
H -2.0520 -2.5346 -5.4772 0.306
C -2.2406 -5.8228 -0.6521 -0.697
C -3.1897 -4.8774 -1.3702 0.386
N -3.9771 -4.0931 -1.9660 -0.456
H -1.8222 -5.3316 0.2307 0.224
H -2.7772 -6.7224 -0.3382 0.332
H -1.4241 -6.1100 -1.3202 0.234
C 0.9163 1.7043 2.5153 -0.225
C 0.0757 2.3660 3.5951 0.317
N -0.6216 2.9150 4.4908 -0.639
H 1.8876 1.4136 2.9247 0.481
H 0.4066 0.8125 2.1403 0.135
H 1.0730 2.3999 1.6863 -0.089
C 0.6421 -2.5672 4.3981 -0.754
C 1.4468 -1.7007 3.4430 0.466
N 2.1143 -0.9819 2.6507 -0.489
H 0.9808 -3.6050 4.3353 0.284
H 0.7725 -2.2115 5.4238 0.277
H -0.4190 -2.5225 4.1379 0.263
C 2.2355 5.4852 1.9693 -0.687
C 1.9129 4.8350 0.6338 0.377
N 1.6452 4.2955 -0.4740 -0.430
H 2.1912 6.5736 1.8744 0.310
H 1.5130 5.1639 2.7246 0.198
H 3.2397 5.1965 2.2915 0.255
C -4.0162 2.5397 -0.4307 -0.620
C -2.7578 1.8480 0.0678 0.402
N -1.7140 1.2741 0.4814 -0.429
H -3.9462 3.6160 -0.2509 0.313
H -4.1376 2.3650 -1.5033 0.292
H -4.8907 2.1470 0.0952 0.051
C -7.5234 0.0635 0.6354 -0.714
C -7.4298 1.0174 -0.5443 0.375
N -7.3521 1.8087 -1.5230 -0.460
H -7.9962 0.5654 1.4841 0.266
H -8.1199 -0.8109 0.3613 0.297
H -6.5228 -0.2657 0.9289 0.273
C 0.5890 3.3293 7.7564 -0.455
C 1.7097 2.7291 8.5896 0.292
N 2.6394 2.2312 9.2808 -0.428
H 0.5451 4.4104 7.9141 0.259
H 0.7658 3.1310 6.6957 0.062
H -0.3685 2.8880 8.0464 0.249
C 7.6113 -1.2672 -3.9737 -0.725
C 6.6622 -0.3218 -4.6918 0.441
N 5.8748 0.4625 -5.2876 -0.488
H 8.0297 -0.7760 -3.0909 0.257
H 7.0747 -2.1668 -3.6598 0.263
H 8.4278 -1.5545 -4.6418 0.285

---

[2]
61
Properties=species:S:1:pos:R:3:mulliken_charge:R:1 method="wB97M-V/def2-TZVPD" largest_force_ev_per_a=0.71 mol_weight_g_mol=373.61 charge=0 smiles="Cc1ccc(C)c(NC(=S)NCCN(C2CCCCC2)C2CCCC2)c1" lumo_ev=0.6689 energy_ha=-1421.78898 orbital_gap_ha=0.305
C 2.4969 -0.2904 3.7351 -1.563
C 2.2060 -1.5474 2.9732 0.084
C 2.8167 -2.7451 3.3224 -0.740
C 2.5346 -3.9049 2.6244 -0.914
C 1.6603 -3.9098 1.5485 1.122
C 1.3654 -5.1719 0.7955 -1.829
C 1.0575 -2.7004 1.1787 0.199
N 0.1584 -2.6951 0.1052 -0.029
C -0.0005 -1.7891 -0.8967 -0.017
S -1.2032 -2.0665 -2.0054 -0.445
N 0.8303 -0.7349 -0.9531 0.070
C 0.8241 0.2404 -2.0144 -1.003
C 0.9582 1.6893 -1.4894 -1.012
N -0.1939 2.3224 -0.9140 0.323
C -0.7293 1.7537 0.3071 0.621
C -2.0271 0.9515 0.1442 -0.418
C -2.4271 0.3125 1.4707 -0.457
C -2.6035 1.3757 2.5502 -0.952
C -1.3251 2.1932 2.7094 -0.200
C -0.9294 2.8336 1.3820 -1.144
C -1.0719 3.1172 -1.7438 -0.113
C -0.3481 4.3551 -2.3331 -0.994
C -0.5817 4.3253 -3.8475 -0.705
C -0.8832 2.8626 -4.1680 -0.552
C -1.7083 2.4133 -2.9678 -0.975
C 1.3232 -1.5423 1.9047 0.349
H 2.3968 -0.4610 4.8054 0.412
H 1.8218 0.5107 3.4443 0.113
H 3.5196 0.0360 3.5457 0.360
H 3.5075 -2.7706 4.1519 0.436
H 3.0094 -4.8301 2.9174 0.342
H 1.5005 -5.0258 -0.2759 0.356
H 2.0249 -5.9713 1.1221 0.393
H 0.3363 -5.4923 0.9659 0.383
H -0.4078 -3.5241 -0.0140 0.317
H 1.6349 -0.7367 -0.3412 0.449
H 1.6667 0.0441 -2.6908 0.240
H -0.1011 0.1044 -2.5733 0.175
H 1.7646 1.6933 -0.7408 0.364
H 1.2917 2.2996 -2.3284 0.635
H 0.0414 1.0729 0.6820 -0.286
H -2.8288 1.6110 -0.1921 0.471
H -1.8971 0.1771 -0.6114 -0.005
H -3.3565 -0.2458 1.3413 0.382
H -1.6579 -0.3990 1.7828 0.025
-- stop --

2